Our solutions

We are a health innovation company dedicated to drive digital transformation of health systems at a global scale


We provide continuous market insights and analytics with timely, relevant, and curated information tailored to your specific needs shared as customized periodic reports.

  • Learn about the latest market trends in health innovation
  • Support your growth with industry specific expert insights
  • Build and expand your market watch

What we provide

Scientific Monitoring

Study protocols, scientific publications, conference abstracts and presentation, press releases

Technology Trends

Characteristics of emerging technologies in healthtech and biotech and their main components

Market Dynamics

Analysis of market drivers, restraints, opportunities, and threats affecting the industry

Competitive Landscape

Comparison of your company’s performance against competitors and strategic positioning analysis

Financial Tracking

Investment patterns and funding activity in the market including deals tracking and M&A

Regulatory Updates

Updates on relevant regulations, standards, and compliance requirements affecting the market

Why choose Vickino for your health innovation intelligence needs?

When it comes to market intelligence, the choice between a niche consulting company and a major generic platform can significantly impact the value and relevance of the insights you receive. Here’s why opting for Vickino might be the superior choice for your intelligence needs.

  • Focused research and in-depth knowledge offering a nuanced understanding of the particular dynamics that affect your sector. 
  • Customized intelligence with only relevant data for your specific business needs, which can be adapted and updated based on your growth.
  • Tailored recommendations and strategies that are directly applicable to your unique business challenges and opportunities through a personnalized and responsive service.
  • Value for money with adapted pricing and more actionable insights with greater precision.
Vickino Intelligence

Case study

A leading global biotechnology company headquarted in USA specialized in developing innovative treatments for neurological disorders needed highly-tailored intelligence insights.

Due to the highly competitive and rapidly evolving nature of the neurosciences sector, the company sought a partner to provide tailored market intelligence to support its strategic decision-making and competitive positioning.

To address these challenges, we delivered a comprehensive suite of customized market intelligence services with a focus on key trends in neuroscience research and technology, including advancements in neuroimaging, biomarkers, and digital therapeutics. This enabled to integrate cutting-edge technologies into their R&D strategy.


We provide tailored education and training courses to build capacity and share best practices in health innovation across your workforce via onsite, online and hybrid formats, based on our experience with thousands of professionals.

  • Upskill your workforce to successfully implement health innovations
  • Get essential knowledge and skills to progress your career
  • Learn from top international experts to match with your strategic needs

What we provide

Initial Education

Lectures within existing academic  Bachelors, Masters and Doctorate programs

Continuous Education

Lectures within existing continuous medical education (CME) and CPD programs in healthcare

Academic Programs

We partner with Universities to create, coordinate and deliver new courses focused on health innovation

Certificate Courses

We create dedicated courses on specific niche topics to provide advanced skills in health innovation

Master Classes

We provide our own series of short courses (1 to 5 days) on health innovation for targeted audiences 

Tailored Training

We craft adhoc training programs for clients based on their own health innovation business needs

Why choose Vickino for your training needs in health innovation?

When it comes to education and training, the choice of your provider is now infinite with online platforms. 



Misplaced materials data
Diffraction record for Gd2Ga9Ir3. The powder diffraction line list is computed, not measured: it uses a structure optimized by DFT (GGA-PBE) and Cu Kα (λ = 1.5418 Å).
Neutral-atom scattering factors, no anomalous dispersion.

Top 6 peaks for 2θ = 10–90°, low angle first:
2θ 30.02, rel. 63
2θ 36.80, rel. 73
2θ 41.09, rel. 100
2θ 44.79, rel. 30
2θ 45.44, rel. 28
2θ 56.94, rel. 27

Atomic structure:
Cell lengths 13.1626, 7.6207, 9.5560 Å; angles 90.00, 90.00, 90.00 degrees
Space group Cmcm (No. 63)
Inequivalent atoms, fractional coordinates:
Gd: 0.1645 0.1674 0.2500 [8 per cell]
Ga: 0.0000 0.1256 0.7500 [4 per cell]
Ga: 0.0000 0.3339 0.0605 [8 per cell]
Ga: 0.1044 0.4413 0.7500 [8 per cell]
Ga: 0.1667 0.1673 0.5763 [16 per cell]
Ir: 0.0000 0.0000 0.0000 [4 per cell]
Ir: 0.1714 0.5000 0.0000 [8 per cell]

Diffraction record for Gd2MnGa6. The powder diffraction line list is computed, not measured: it uses a structure optimized by DFT (GGA-PBE) and Cu Kα (λ = 1.5418 Å).
Neutral-atom scattering factors, no anomalous dispersion.

Top 6 peaks for 2θ = 10–90°, low angle first:
2θ 28.90, rel. 33
2θ 35.59, rel. 100
2θ 41.33, rel. 66
2θ 59.88, rel. 39
2θ 71.64, rel. 31
2θ 75.37, rel. 12

Atomic structure:
Cell lengths 8.7374, 8.7374, 8.7374 Å; angles 90.00, 90.00, 90.00 degrees
Space group Fm-3m (No. 225)
Inequivalent atoms, fractional coordinates:
Gd: 0.2500 0.2500 0.2500 [8 per cell]
Mn: 0.0000 0.0000 0.0000 [4 per cell]
Ga: 0.0000 0.0000 0.2783 [24 per cell]

Diffraction record for Gd3Mn3Ga2Si. The powder diffraction line list is computed, not measured: it uses a structure optimized by DFT (GGA-PBE) and Cu Kα (λ = 1.5418 Å).
Neutral-atom scattering factors, no anomalous dispersion.

Top 6 peaks for 2θ = 10–90°, low angle first:
2θ 29.20, rel. 31
2θ 33.30, rel. 89
2θ 36.48, rel. 100
2θ 38.94, rel. 32
2θ 43.57, rel. 26
2θ 58.77, rel. 23

Atomic structure:
Cell lengths 7.0553, 4.1548, 7.0622 Å; angles 90.00, 119.89, 90.00 degrees
Space group Pm (No. 6)
Inequivalent atoms, fractional coordinates:
Gd: 0.0000 0.0000 0.0000 [1 per cell]
Gd: 0.1604 0.0000 0.5883 [1 per cell]
Gd: 0.5893 0.0000 0.4287 [1 per cell]
Mn: 0.3438 0.5000 0.0001 [1 per cell]
Mn: 0.5955 0.5000 0.7762 [1 per cell]
Mn: 0.8097 0.5000 0.2425 [1 per cell]
Ga: 0.2500 0.5000 0.3400 [1 per cell]
Ga: 0.5824 0.0000 0.0052 [1 per cell]
Si: 0.9168 0.5000 0.6719 [1 per cell]

Diffraction record for Gd2NbGaO7. The powder diffraction line list is computed, not measured: it uses a structure optimized by DFT (GGA-PBE) and Cu Kα (λ = 1.5418 Å).
Neutral-atom scattering factors, no anomalous dispersion.

Top 6 peaks for 2θ = 10–90°, low angle first:
2θ 29.52, rel. 100
2θ 30.08, rel. 96
2θ 34.54, rel. 62
2θ 49.63, rel. 62
2θ 58.55, rel. 29
2θ 59.52, rel. 27

Atomic structure:
Cell lengths 7.2389, 7.4400, 10.4058 Å; angles 90.00, 90.00, 90.00 degrees
Space group Imma (No. 74)
Inequivalent atoms, fractional coordinates:
Gd: 0.0000 0.0000 0.0000 [4 per cell]
Gd: 0.2500 0.2500 0.2500 [4 per cell]

The most effective professional training programs are however those that are fully embedded into your own reality and that exactly match your business needs.


This is what Vickino experts have been doing for the past ten years around the world with a track record of successful and memorable content delivered in a tailored, flexible and enjoyable approach.


Case study

A leading hospital group in the Kingdom of Saudi Arabia in partnership with a global healthech firm requested our team to deliver a one week customized training course related to AI in healthcare, digital health and relevant clinical applications for the country. 

The course was prepared and organized remotely and delivered onsite in the capital Riyadh for more than 50 participants including hospital managers, IT administrators, physicians and nurses.

The overall satisfaction was very high at 9/10 with high recommendations to repeat the course for another cohort of hospital workers. 


We provide a suite of various health innovation audits to match business needs at each step of the lifecycle through in-depth reviews of situational gaps, challenges, opportunities, and as innovation readiness level assessments.

  • Identify strengths and gaps in your current innovation strategy
  • Discover opportunity areas for growth
  • Mitigate risks by reducing the likelihood of project failure or delays

What we provide

Market Landscape Analysis

Assess the competitive environment and market trends to identify opportunities and threats

Technical Due Diligence

Evaluate the technical robustness of potential investments to ensure their potential for successful development.

Clinical Quality Audit

Review clinical processes and outcomes to ensure compliance and effectiveness of health interventions

Digital Health Maturity Audit

Assess the maturity of your organization for implementation of digital health innovations

**Unrelated to this article: calculated crystals:**
____________
Diffraction record for Ce4Bi8Rh3. The X-ray powder pattern is theoretical, not measured: it uses a cell relaxed with GGA-PBE and copper Kα.
Kinematic intensities with the Lorentz-polarization factor, no thermal factor.

Largest 10 diffraction maxima, by angle, 2θ = 10–90°:
2θ = 27.0°, I 10, hkl 1 0 4
2θ = 28.4°, I 23, hkl 0 0 6
2θ = 28.9°, I 36, hkl 1 1 2
2θ = 33.3°, I 100, hkl 1 1 4
2θ = 39.0°, I 49, hkl 2 0 0
2θ = 47.5°, I 12, hkl 1 1 8
2θ = 48.9°, I 22, hkl 2 0 6
2θ = 56.3°, I 27, hkl 2 2 0
2θ = 67.0°, I 28, hkl 3 1 4
2θ = 83.7°, I 13, hkl 4 0 0

a b c (Å): 4.623 4.623 18.880
angles (deg): 90.00 90.00 90.00
Fractional coordinates of all 15 atoms:
Ce (0.000, 0.500, 0.106)
Ce (0.000, 0.500, 0.613)
Ce (0.500, 0.000, 0.387)
Ce (0.500, 0.000, 0.894)
Bi (0.000, 0.000, 0.246)
Bi (0.000, 0.000, 0.754)
Bi (0.000, 0.500, 0.413)
Bi (0.000, 0.500, 0.921)
Bi (0.500, 0.000, 0.079)
Bi (0.500, 0.000, 0.587)
Bi (0.500, 0.500, 0.246)
Bi (0.500, 0.500, 0.754)
Rh (0.000, 0.000, 0.000)
Rh (0.000, 0.000, 0.500)
Rh (0.500, 0.500, 0.500)


(1)
Starting from a cell relaxed with PBE, the X-ray powder pattern of Cs2InH4 was simulated for Cu Kα X-rays.
Neutral-atom scattering factors, no anomalous dispersion.

Main lines, sorted by position (2θ from 15° to 90°):
25.1 deg, intensity 100.0
25.7 deg, intensity 46.0
27.8 deg, intensity 83.2
29.8 deg, intensity 38.7
33.3 deg, intensity 8.8
35.7 deg, intensity 17.5
39.7 deg, intensity 29.1
43.2 deg, intensity 12.9
47.2 deg, intensity 18.8
48.3 deg, intensity 12.6
50.1 deg, intensity 14.7
51.7 deg, intensity 14.6

Structural model:
```
Cs2InH4
1.0
7.631 -3.000 0.000
7.631 3.000 0.000
-3.977 0.000 6.930
Cs In H
4 2 8
direct
0.029 0.029 0.267
0.326 0.326 0.212
0.674 0.674 0.788
0.971 0.971 0.733
0.310 0.310 0.701
0.690 0.690 0.299
0.124 0.592 0.879
0.175 0.175 0.696
0.408 0.876 0.121
0.421 0.421 0.643
0.579 0.579 0.357
0.592 0.124 0.879
0.825 0.825 0.304
0.876 0.408 0.121
```

---

(2)
Starting from a cell relaxed with PBE, the X-ray powder pattern of Cs2InH was simulated for Cu Kα X-rays.
Neutral-atom scattering factors, no anomalous dispersion.

Main lines, sorted by position (2θ from 15° to 90°):
23.6 deg, intensity 54.8
25.0 deg, intensity 100.0
25.4 deg, intensity 25.9
27.0 deg, intensity 13.2
31.0 deg, intensity 15.5
32.7 deg, intensity 51.5
36.4 deg, intensity 37.1
43.7 deg, intensity 31.7
50.3 deg, intensity 41.4
51.0 deg, intensity 13.9
52.4 deg, intensity 13.2
67.1 deg, intensity 17.5

Structural model:
```
Cs2InH
1.0
4.141 0.000 0.000
-2.070 3.586 0.000
0.000 0.000 33.977
Cs In H
6 3 3
direct
0.000 0.000 0.111
0.000 0.000 0.889
0.333 0.667 0.555
0.333 0.667 0.778
0.667 0.333 0.222
0.667 0.333 0.445
0.000 0.000 0.000
0.333 0.667 0.667
0.667 0.333 0.333
0.000 0.000 0.500
0.333 0.667 0.167
0.667 0.333 0.833
```

---

(3)
Starting from a cell relaxed with PBE, the X-ray powder pattern of Cs2In2H7 was simulated for Cu Kα X-rays.
Neutral-atom scattering factors, no anomalous dispersion.
____________

Data Management Audit

Evaluate your data management  practices to ensure accuracy and relevance for advanced data analytics

Business Performance Audit

Analyze your operations and financial performance to identify opportunities for growth and improvement.

Why choose Vickino to assess your readiness for investing in health innovation?


  • Unique Expertise: At Vickino, we bring together a distinctive team of specialists who bridge the gap between health innovation, business acumen, and healthcare management with a multi-disciplinary approach for insights that are both strategic and actionable.
  • Full Lifecycle Expertise: We possess a thorough understanding of the entire lifecycle of health innovation, from concept development, startup creation and investment, pilot testing to full-scale implementation. This breadth of experience allows us to accurately assess your current capabilities, identify potential gaps, and provide strategic recommendations that facilitate a smooth transition to successful implementation.
  • Global Experience: Our team’s extensive global experience spans a wide range of settings, including LMICs, high-income nations, small island states, to large, complex countries. This background equips us with a deep understanding of varying environments and innovation landscapes, enabling us to tailor our assessments to fit your specific challenges.

Innovation Audit
Paris Santé Campus 2

Cases study

In France, the LET (Les Entreprises de Télésanté), the major industry association for telehealth providers, asked Vickino to conduct an in-depth analysis of the market trends in research and funding for telehealth in the country over a 20-year period between 2004 and 2023. The results were presented in Paris in presence of representatives of the Ministry of Health. 

In France, an investment fund requested our experts to conduct a thorough market landscape analysis for telehealth to guide their investment strategy followed by a technical due diligence related to a digital health startup. 


We craft innovative strategies at each step of your healthcare organization innovation lifecycle starting from health policies, through preparing product launch, or support long-term growth through investment planning.

  • Ensure healthcare innovation aligns with yout organizational objectives 
  • Strengthen competitive advantage being at the forefront of innovation
  • Launch and scale health innovation while boosting your revenues

What we provide

Health Innovation Policies

Evidence-based strategies promoting and regulating new healthcare technologies and solutions

Digital Health Strategy

Comprehensive plan to integrate digital technologies, telehealth, robotics and AI into health systems

Product Roadmap

Strategic plan outlining the features, milestones, development and introduction of new products

Go-to-market Strategy

A detailed plan including market positioning, target audience, and sales tactics for market entry success

Scale-up and Growth Strategy

Expand business operations, increase market share, and drive sustainable growth through effective scaling

Corporate Investment Strategy

Investment objectives and criteria, asset allocation, financial planning, risk and portfolio management

Why choose Vickino to create your health innovation strategy?

By choosing Vickino, you benefit from a dedicated team fully committed to advancing your health innovation goals with precision and excellence.

  • Tailored Expertise: Our deep focus on healthcare innovation ensures that we understand the specific challenges and opportunities within the industry, allowing us to create highly customized and impactful strategies for your organization.

  • Comprehensive Insight: We leverage our specialized knowledge and experience to provide strategic guidance that aligns with the latest industry trends and technical advancements.

  • Proven Track Record: Our track record of successful partnerships demonstrates our ability to drive meaningful change and deliver results that propel your health innovation forward.

Dr Robin Ohannessian speaker at MENA Telehealth in Saudi Arabia

Case study

A Ministry of Health selected our experts team to define a long-term strategy and planning for a large scale digital health and telehealth infrastructure project involving all types of healthcare stakeholders from both public and private sector.

The project included the definition of a strategic roadmap, the writing of the first ever national telehealth regulations package, the first ever comprehensive national telehealth clinical guidelines, followed by the initiative strategic initiative implementation roadmap, strategic positioning, business model, clinical applications priorities, and detailed processes. 


We provide project management assistance to support successful delivery of innovative health projects to reduce friction, increase adoption and maximize impact.

  • Deliver your complex health innovation project with minimum risks 
  • Focus on your strategic growth activities while we drive the execution
  • Develop the best digital and AI application for your healthcare business

What we provide

Project Planning

Planning milestones, tasks, timeline, KPIs, resource allocation, budgeting and GANTT chart to guide execution 

Project Management

Daily oversight of activities, team coordination, budget management, and adherence to deadlines

Change Management

Facilitating smooth transitions, ensuring stakeholder engagement and minimizing disruption.

Software Development

Designing, coding, testing, and deploying software solutions to meet user needs and requirements.

Technology Integration

Ensuring seamless incorporation of new technologies into existing systems to enhance efficiency.

Performance Monitoring

Tracking KPIs, identifying areas for improvement and ensuring desired outcomes are achieved

Why choose Vickino for implementing your health innovation?

  • Medical Culture: Our medical and public health team’s deep understanding of clinical operations and hospital management surpasses that of generic project managers, ensuring tailored and effective project execution.

  • Digital Health Focus: With over 10 years of experience working with medical software globally, we possess a profound understanding of software needs, essential features, and user experience tailored to clinical workflows.

  • Multidisciplinary Planning: We apply rigorous and intricate planning in health innovation projects, integrating multiple stakeholder perspectives and addressing complex requirements for successful outcomes.


Cases study

Our client, a large hospital group, embarked in a digital transformation program needing a dedicated project management office to supervise the full process, management with vendors and solutions providers, as well as promote adoption and change management with its workforce. 

Our client, a dental clinic group looking to expand its services decided to embrace a digital health innovation journey by developing a digital frontdoor including AI capacities and to trust us for the overall project management of this transformative initiative including with the software and mobile application development. 


We provide impact and value generation CRO services to accelerate your market access strategy at a national and global scale.


  • Generate evidence to support your market access strategy
  • Demonstrate your public health impact and health system value
  • Outsource your medical and scientific writing to dedicated experts

What we provide

Evidence Generation Plans

Definition of expected outcomes and endpoints, data collection needs, and research pipeline

Literature Reviews

Systematic reviews and meta-analysis, narrative and scoping reviews fitting to your needs

Study Protocol Design

Research protocol outlining objectives, methodologies, design, data collection and statistical analyses

Study Coordination

Daily supervision of ongoing studies, site management, participant recruitment, and quality assurance

Statistical Analysis

Descriptive, analytical and predictive analytics for interim and final analysis of clinical trials and real-world studies

Next to the text, the page also holds calculated crystals:
-- begin --
Starting from the PBE geometry in OQMD, the powder X-ray diffraction pattern of Dy2YEr2Tm2Fe2Te2 was calculated for Cu Kα (weighted mean of Kα1 and Kα2).
Intensities are scaled so that the largest is 100.

Largest 10 diffraction maxima, low angle first, 10 to 80 degrees two-theta:
24.96°, rel. 26.3
28.76°, rel. 20.7
30.60°, rel. 45.5
33.57°, rel. 84.2
34.00°, rel. 100.0
34.38°, rel. 27.9
34.72°, rel. 70.7
38.95°, rel. 21.5
47.06°, rel. 31.3
59.04°, rel. 33.5

Structure:
a b c (Å): 9.311 9.311 9.311
angles (deg): 156.06 65.61 119.94
Fractional positions:
Dy1 0.136 0.000 0.136
Dy2 0.864 0.000 0.864
Y1 0.583 0.583 0.000
Er1 0.198 0.849 0.349
Er2 0.499 0.849 0.651
Tm1 0.521 0.208 0.313
Tm2 0.895 0.208 0.687
Fe1 0.277 0.514 0.763
Fe2 0.751 0.514 0.237
Te1 0.249 0.249 0.000
Te2 0.847 0.347 0.500
-- stop --

Scientific Writing

Scientific journals selection, abstract and manuscript writing, submission and publication management

Why choose Vickino to demonstrate value of your health innovation?

  • Expert Team: Our team of MDs, MPHs, and PhDs combines academic excellence with practical experience, ensuring rigorous and insightful research.

  • Proven Impact: We have a strong track record of high-impact publications in digital health and telehealth with innovative research methodologies, demonstrating our ability to produce influential and groundbreaking research.

  • Global Experience: We bring extensive experience working with leading pharma, biotech, and medtech companies, offering deep industry insights and strategic expertise.

Case study

A digital health company focused in sleep medicine requested support to develop their full evidence generation strategy to match their business development plan, to identify the adapted stakeholders to engage with for scientific research, and to supervise the definition of study protocols and data collection, leading to presentation and ongoing publication of one of the largest study in Europe related to digital health in sleep. 

Our leader Dr Robin Ohannessian also published one of the most-ever cited article related to telemedicine and COVID-19, the largest telehealth study in Europe related to primary care, the largest telecardiology study in Africa, and pioneered the integration of AI into WHO ICHI classification.  

Ready to get started?

Schedule a call with our experts and learn how we can innovate together and accelerate your digital health transformation journey.